**Job**
Next, set down the notes further down from the line with "-3.34 -1.16" to the end exactly.
**Given**
____________
(1)
# C32H36Cl8F4O3

9 unconnected molecules or ions with the total composition C32H36Cl8F4O3 in a non-equilibrium geometry (ωB97M-V/def2-TZVPD, the Open Molecules 2025 dataset).

XYZ file:
```
83
Properties=species:S:1:pos:R:3:lowdin_charge:R:1
C -5.12 5.93 -6.21 -0.0655
C -4.23 5.38 -5.10 -0.1879
O -4.08 3.96 -5.03 0.0650
C -3.46 3.37 -6.02 -0.6317
O -3.23 3.83 -7.11 0.0714
O -3.20 2.12 -5.68 0.0157
C -2.66 1.26 -6.68 -0.0270
H -6.18 5.86 -5.98 0.0813
H -4.94 5.40 -7.15 0.0087
H -4.82 6.95 -6.46 0.0848
H -4.74 5.66 -4.18 0.1220
H -3.25 5.87 -5.08 0.1283
H -1.86 0.68 -6.23 0.0968
H -2.35 1.83 -7.55 0.0823
H -3.46 0.59 -6.98 0.0906
F -9.26 11.65 -16.39 0.0595
C -8.86 10.60 -15.65 -0.2914
C -9.59 9.43 -15.66 -0.0139
C -9.17 8.37 -14.86 -0.0796
C -8.00 8.51 -14.14 -0.1125
C -7.21 9.66 -14.20 -0.0760
C -7.71 10.74 -14.88 -0.0203
H -10.48 9.39 -16.28 0.1151
H -9.75 7.46 -14.86 0.1015
H -7.69 7.64 -13.56 0.0522
H -6.24 9.70 -13.73 0.1018
H -7.10 11.63 -15.00 0.1177
F 1.05 5.02 -13.10 0.0446
C 0.56 4.79 -11.87 -0.2900
C -0.71 4.24 -11.74 -0.0207
C -1.15 3.92 -10.47 -0.1102
C -0.32 4.09 -9.35 -0.0859
C 0.87 4.74 -9.50 -0.0893
C 1.35 5.04 -10.78 -0.0189
H -1.38 4.10 -12.58 0.1050
H -2.15 3.53 -10.35 0.0599
H -0.72 3.71 -8.42 0.0897
H 1.46 4.89 -8.60 0.1085
H 2.34 5.46 -10.91 0.1187
F -5.83 3.33 -12.80 0.0160
C -5.17 2.16 -12.62 -0.2678
C -4.14 1.83 -13.49 -0.0158
C -3.37 0.70 -13.24 -0.0651
C -3.75 -0.18 -12.21 -0.0735
C -4.82 0.16 -11.39 -0.0786
C -5.56 1.32 -11.61 -0.0104
H -3.97 2.52 -14.31 0.0774
H -2.60 0.44 -13.95 0.1060
H -3.34 -1.16 -12.05 0.1020
H -5.17 -0.50 -10.61 0.0863
H -6.39 1.65 -10.99 0.0958
F -9.00 4.01 -8.42 0.0437
C -8.14 2.97 -8.47 -0.2989
C -6.79 3.20 -8.29 -0.0028
C -5.91 2.12 -8.40 -0.0630
C -6.40 0.86 -8.71 -0.1230
C -7.76 0.66 -8.88 -0.0895
C -8.66 1.68 -8.62 -0.0475
H -6.33 4.17 -8.15 0.0802
H -4.89 2.24 -8.07 0.0864
H -5.70 0.10 -9.04 0.0767
H -8.17 -0.27 -9.27 0.1138
H -9.73 1.70 -8.75 0.1111
Cl -4.15 5.28 -9.85 0.6289
C -5.62 5.49 -10.80 -0.9885
Cl -5.35 6.65 -12.12 0.5781
H -6.04 4.53 -11.11 -0.0101
H -6.34 5.92 -10.12 0.0102
Cl -3.85 4.96 -15.82 0.5229
C -3.00 6.15 -14.83 -1.0490
Cl -1.29 6.17 -15.23 0.5343
H -3.46 7.11 -15.03 0.0262
H -3.09 5.83 -13.80 -0.0237
Cl -9.55 2.40 -11.73 0.5808
C -9.03 3.83 -12.60 -0.9776
Cl -8.90 5.22 -11.50 0.5592
H -8.06 3.69 -13.06 0.0077
H -9.80 4.02 -13.34 0.0241
Cl -2.78 8.61 -9.61 0.4744
C -1.99 7.91 -11.06 -1.0669
Cl -1.59 9.11 -12.25 0.5450
H -1.09 7.39 -10.75 0.0196
H -2.68 7.17 -11.45 -0.0553
```

Computed properties:
* LUMO level: 0.01675 hartree
* largest force on an atom: 2.150 eV/Å
* HOMO energy: -0.3386 Eh
* ΔE to the lowest compared entry with this formula, charge and spin: 0.0 kcal/mol

(2)
# C32H36ClN8PPbS3

A molecular structure, C32H36ClN8PPbS3 in a non-equilibrium geometry (ωB97M-V/def2-TZVPD, the Open Molecules 2025 dataset).

XYZ file:
```
82
Properties=species:S:1:pos:R:3:lowdin_charge:R:1
Pb 0.54 1.10 -0.59 1.0977
C 3.35 -0.51 -0.30 -0.1922
C 3.89 0.52 -1.30 -0.1657
N 2.80 1.35 -1.83 -0.1626
C 3.05 2.79 -1.80 -0.2036
C 3.18 3.33 -0.38 -0.1756
N 2.06 2.91 0.48 -0.1791
C 2.47 2.36 1.78 -0.1980
C 3.15 0.99 1.64 -0.1696
N 2.45 0.10 0.69 -0.1344
H 2.77 -1.26 -0.83 0.0820
H 4.20 -1.00 0.20 0.1366
H 4.63 1.16 -0.83 0.1116
H 4.40 -0.02 -2.09 0.1359
H 2.61 1.07 -2.78 0.1080
H 3.95 3.06 -2.36 0.1358
H 2.20 3.28 -2.29 0.0893
H 4.12 3.00 0.07 0.1132
H 3.24 4.42 -0.44 0.1352
H 1.46 3.70 0.66 0.0865
H 3.16 3.03 2.30 0.1357
H 1.57 2.26 2.38 0.0999
H 4.18 1.12 1.30 0.1168
H 3.20 0.54 2.63 0.1265
H 2.02 -0.66 1.21 0.0850
Cl -1.21 2.94 1.12 0.6682
C -2.25 2.06 2.20 -0.6233
C -3.10 2.79 3.02 -0.0821
C -3.91 2.11 3.91 -0.0357
C -3.89 0.72 3.96 -0.0390
C -3.04 0.01 3.13 -0.0647
C -2.20 0.68 2.24 -0.3860
P -1.12 -0.33 1.15 0.9758
C -0.39 -1.46 2.38 -0.3664
C -0.71 -2.80 2.55 -0.0798
C -0.04 -3.54 3.51 -0.0498
C 0.94 -2.95 4.30 -0.0490
C 1.23 -1.60 4.17 -0.0576
C 0.57 -0.86 3.20 -0.1282
C -2.36 -1.24 0.18 -0.3651
C -3.61 -0.68 -0.09 -0.0998
C -4.49 -1.34 -0.92 -0.0539
____________
**Written answer**
H -3.34 -1.16 -12.05 0.1020
H -5.17 -0.50 -10.61 0.0863
H -6.39 1.65 -10.99 0.0958
F -9.00 4.01 -8.42 0.0437
C -8.14 2.97 -8.47 -0.2989
C -6.79 3.20 -8.29 -0.0028
C -5.91 2.12 -8.40 -0.0630
C -6.40 0.86 -8.71 -0.1230
C -7.76 0.66 -8.88 -0.0895
C -8.66 1.68 -8.62 -0.0475
H -6.33 4.17 -8.15 0.0802
H -4.89 2.24 -8.07 0.0864
H -5.70 0.10 -9.04 0.0767
H -8.17 -0.27 -9.27 0.1138
H -9.73 1.70 -8.75 0.1111
Cl -4.15 5.28 -9.85 0.6289
C -5.62 5.49 -10.80 -0.9885
Cl -5.35 6.65 -12.12 0.5781
H -6.04 4.53 -11.11 -0.0101
H -6.34 5.92 -10.12 0.0102
Cl -3.85 4.96 -15.82 0.5229
C -3.00 6.15 -14.83 -1.0490
Cl -1.29 6.17 -15.23 0.5343
H -3.46 7.11 -15.03 0.0262
H -3.09 5.83 -13.80 -0.0237
Cl -9.55 2.40 -11.73 0.5808
C -9.03 3.83 -12.60 -0.9776
Cl -8.90 5.22 -11.50 0.5592
H -8.06 3.69 -13.06 0.0077
H -9.80 4.02 -13.34 0.0241
Cl -2.78 8.61 -9.61 0.4744
C -1.99 7.91 -11.06 -1.0669
Cl -1.59 9.11 -12.25 0.5450
H -1.09 7.39 -10.75 0.0196
H -2.68 7.17 -11.45 -0.0553
```

Computed properties:
* LUMO level: 0.01675 hartree
* largest force on an atom: 2.150 eV/Å
* HOMO energy: -0.3386 Eh
* ΔE to the lowest compared entry with this formula, charge and spin: 0.0 kcal/mol

(2)
# C32H36ClN8PPbS3

A molecular structure, C32H36ClN8PPbS3 in a non-equilibrium geometry (ωB97M-V/def2-TZVPD, the Open Molecules 2025 dataset).

XYZ file:
```
82
Properties=species:S:1:pos:R:3:lowdin_charge:R:1
Pb 0.54 1.10 -0.59 1.0977
C 3.35 -0.51 -0.30 -0.1922
C 3.89 0.52 -1.30 -0.1657
N 2.80 1.35 -1.83 -0.1626
C 3.05 2.79 -1.80 -0.2036
C 3.18 3.33 -0.38 -0.1756
N 2.06 2.91 0.48 -0.1791
C 2.47 2.36 1.78 -0.1980
C 3.15 0.99 1.64 -0.1696
N 2.45 0.10 0.69 -0.1344
H 2.77 -1.26 -0.83 0.0820
H 4.20 -1.00 0.20 0.1366
H 4.63 1.16 -0.83 0.1116
H 4.40 -0.02 -2.09 0.1359
H 2.61 1.07 -2.78 0.1080
H 3.95 3.06 -2.36 0.1358
H 2.20 3.28 -2.29 0.0893
H 4.12 3.00 0.07 0.1132
H 3.24 4.42 -0.44 0.1352
H 1.46 3.70 0.66 0.0865
H 3.16 3.03 2.30 0.1357
H 1.57 2.26 2.38 0.0999
H 4.18 1.12 1.30 0.1168
H 3.20 0.54 2.63 0.1265
H 2.02 -0.66 1.21 0.0850
Cl -1.21 2.94 1.12 0.6682
C -2.25 2.06 2.20 -0.6233
C -3.10 2.79 3.02 -0.0821
C -3.91 2.11 3.91 -0.0357
C -3.89 0.72 3.96 -0.0390
C -3.04 0.01 3.13 -0.0647
C -2.20 0.68 2.24 -0.3860
P -1.12 -0.33 1.15 0.9758
C -0.39 -1.46 2.38 -0.3664
C -0.71 -2.80 2.55 -0.0798
C -0.04 -3.54 3.51 -0.0498
C 0.94 -2.95 4.30 -0.0490
C 1.23 -1.60 4.17 -0.0576
C 0.57 -0.86 3.20 -0.1282
C -2.36 -1.24 0.18 -0.3651
C -3.61 -0.68 -0.09 -0.0998
C -4.49 -1.34 -0.92 -0.0539